Tuesday, June 19, 2012

New Tablecloth and Kitty Scare

Yesterday Chantel and I went to our favorite thrift store. On Mondays and thursdays everything is half price and we find the greatest things! They have a great selection of name brand clothes and they are so cheap. I got barely worn (maybe even never worn) Tommy Hilfiger pajamas for $1. We got a lot of clothes--and with this growing family it is so helpful to our barely there budget!

My favorite thing I got is a lace tablecloth. It was marked $4.99 and so I got it for $2.50. It was an oatmeal color and had coffee stains on it. I had saw on several blogs that you can bleach these types of things so I figured it was worth a try. I put it in the washer and bleached it for 3 hours. Then I put it in oxyclean for 2 hours. I figured if I ruined it I wasn't out that much. It turned out beautiful!

It looks handmade. Whatever it is the quality is very good. My Mother says it reminds her of her Grandmother.

How fun it is to be able to find something like this for so little money!

A few days ago we had a little kitty scare. Warning...the picture below is not one of my usual cute kitty pictures. One morning Chantel came running into my room saying in panic, "Whats the matter with Phoebe?" Phoebe side of her face was swollen up HUGE. After reading on the internet I knew she was just too little and she had to go to the vet. I didn't spend all these sleepless nights to let something happen to these babies! The vet said that she had a small wound..probably from the claw of one of her siblings. Somehow bacteria got in there and it swelled up quick. I told her we are not rich people, and she was so nice to do a quick procedure of draining it and gave us some antibiotics. She didn't charge that much. I think she was happy we rescued these babies. Here is Phoebe after she shaved and drained it---it quickly got huge again.

********
Structure and simulated powder diffractogram of Sr5As3O12F (the PBE geometry in the Materials Project; CuKα).

```
data_Sr5As3O12F
_chemical_formula_sum 'Sr10 As6 O24 F2'
_symmetry_space_group_name_H-M 'P 1'
_symmetry_Int_Tables_number 1
_cell_length_a 10.166
_cell_length_b 10.166
_cell_length_c 7.496
_cell_angle_alpha 90.00
_cell_angle_beta 90.00
_cell_angle_gamma 120.00
loop_
_symmetry_equiv_pos_as_xyz
'x,y,z'
loop_
_atom_site_label
_atom_site_fract_x
_atom_site_fract_y
_atom_site_fract_z
Sr1 0.007 0.248 0.250
Sr2 0.241 0.993 0.250
Sr3 0.248 0.241 0.750
Sr4 0.333 0.667 0.001
Sr5 0.333 0.667 0.499
Sr6 0.667 0.333 0.501
Sr7 0.667 0.333 0.999
Sr8 0.752 0.759 0.250
Sr9 0.759 0.007 0.750
Sr10 0.993 0.752 0.750
As1 0.030 0.399 0.750
As2 0.369 0.970 0.750
As3 0.399 0.369 0.250
As4 0.601 0.631 0.750
As5 0.631 0.030 0.250
As6 0.970 0.601 0.250
O1 0.091 0.342 0.566
O2 0.091 0.342 0.934
O3 0.125 0.595 0.750
O4 0.164 0.678 0.250
O5 0.252 0.909 0.566
O6 0.252 0.909 0.934
O7 0.322 0.486 0.250
O8 0.342 0.252 0.066
O9 0.342 0.252 0.434
O10 0.405 0.530 0.750
O11 0.470 0.875 0.750
O12 0.486 0.164 0.750
O13 0.514 0.836 0.250
O14 0.530 0.125 0.250
O15 0.595 0.470 0.250
O16 0.658 0.748 0.566
O17 0.658 0.748 0.934
O18 0.678 0.514 0.750
O19 0.748 0.091 0.066
O20 0.748 0.091 0.434
O21 0.836 0.322 0.750
O22 0.875 0.405 0.250
O23 0.909 0.658 0.066
O24 0.909 0.658 0.434
F1 0.000 0.000 0.250
F2 0.000 0.000 0.750
```

Principal peaks in the range 5° ≤ 2θ ≤ 70°, low angle first:
2θ 23.74, I = 27, hkl 0 0 2; 2θ 26.79, I = 21, hkl 2 1 0; 2θ 29.37, I = 100, hkl 2 1 1; 2θ 29.61, I = 61, hkl 1 1 2; 2θ 30.46, I = 51, hkl 3 0 0; 2θ 43.00, I = 29, hkl 2 2 2; 2θ 45.39, I = 35, hkl 2 1 3; 2θ 46.57, I = 17, hkl 2 3 1; 2θ 48.58, I = 16, hkl 0 0 4; 2θ 58.42, I = 16, hkl 3 0 4

* * * * *

(1)
# Al2CoCl8
Simulated powder X-ray diffraction pattern, Cu Kα (λ = 1.5418 Å). Input: DFT lattice parameters and positions (PBE).
Kinematic intensities with the Lorentz-polarization factor, no thermal factor.

Peak list (8 most intense, 10° ≤ 2θ ≤ 90°, by angle)
2θ = 12.70°, rel. 100; 2θ = 15.02°, rel. 17; 2θ = 19.60°, rel. 15; 2θ = 29.08°, rel. 26; 2θ = 30.31°, rel. 53; 2θ = 30.71°, rel. 15; 2θ = 40.99°, rel. 19; 2θ = 45.08°, rel. 25

Lattice parameters (Å, degrees): 8.058 8.058 11.659 92.89 92.89 59.76
Positions (direct):
Al 0.161 0.677 0.945
Al 0.323 0.839 0.555
Al 0.677 0.161 0.445
Al 0.839 0.323 0.055
Co 0.002 0.998 0.750
Co 0.998 0.002 0.250
Cl 0.124 0.162 0.138
Cl 0.147 0.700 0.132
Cl 0.160 0.715 0.618
Cl 0.162 0.124 0.638
Cl 0.285 0.840 0.882
Cl 0.300 0.853 0.368
Cl 0.310 0.383 0.898
Cl 0.383 0.310 0.398
Cl 0.617 0.690 0.602
Cl 0.690 0.617 0.102
Cl 0.700 0.147 0.632
Cl 0.715 0.160 0.118
Cl 0.838 0.876 0.362
Cl 0.840 0.285 0.382
Cl 0.853 0.300 0.868
Cl 0.876 0.838 0.862

---

(2)
# Nb3Ge
Simulated powder X-ray diffraction pattern, Cu Kα (λ = 1.5418 Å). Input: DFT lattice parameters and positions (PBE).
Kinematic intensities with the Lorentz-polarization factor, no thermal factor.
********

My poor baby phoebe! She had a 105 degree temp.  But now with antibiotics she is doing so much better. She is almost totally better now.

If you visit my daughters blog you have already seen this next photo but I have to post it too. I can't believe how good Janae is at taking pet photos! These kittens don't sit still for a second so I really don't know how she does it. Janae ended up keeping 3 of the kittens and we kept 2. So they are all in the family. Janae took her 3 to her home now and I have to say I really miss them. I know they couldn't have a better home though. They were born on Cinco De Mayo, and so next year we are planning to have a big Mexican food birthday party for them:)

Walgreens was giving away a free 8x10 so I ordered this and I am going to frame it. Wouldn't that photo be a cute hallmark card?!

I am loving that it is summer break and the kids and I are just having lazy fun days. I have several projects in the works--can't wait to finish them and show you!

Thanks for visiting!


Sissie's Shabby Cottage said...

Oh poor baby kitty. I'm so glad that she is doing better, that looks just awful on the poor little thing. Thank goodness you are such a good Mommie.

Love that pretty lacey tablecloth. Very pretty.


Kathy @ Creative Home Expressions said...

That tablecloth is gorgeous, Sandy! What a great find and it cleaned up beautifully. Our Goodwill has some really nice clothing. I bought some skirts last month to make into one ruffled jean skirt and I finished it Sunday. Glad to hear that little kitten is doing better. I'm sure that was scary.

sunnyskiesandsweettea said...

Hi Sandy,

I love that tablecloth it is so pretty. Your chandelier is gorgeous too! I am glad your little kitty is doing better, it is so scary when something happens to our little animals.

Amy Jo

Debbie@Mountain Breaths said...

I am so glad Phoebe is doing better. The kitties are just so precious, and your daughter takes excellent photos. Hallmark card for sure! Your tablecloth is beautiful, and I really need to start going to the thrift stores to look around for bargains.

Unknown said...

The photo's are wonderful..love the table linen and yes, the photo's of the kitties are worth framing..what fun and I'm glad the little one is doing so much better..nice post..

Melanie said...

The tablecloth is lovely! I love getting a bargain like that too!!! Glad that Phoebe is doing better!!! She is such a little cutie!!!

Jennifer @ Town and Country Living said...

Sandy, thanks so much for the info on bleaching the tablecloth. My mom crocheted a white one for me and it has stains and I thought it was forever ruined. I never thought to bleach it for awhile. Duh. So glad your little kitty is okay. So cute!! All of them!

Julie said...

Poor baby Phoebe - it is hard to care so much and vet bills can be so expensive.

Janae really really is talented. Has she thought about doing pet pictures for $$$. I would pay for a good picture of my 2 cats.

The White Pear Tree said...

Poor sweet kittie!! Glad she's better now!

That picture of the 5 of them on the chair is just so cute!!! (Love the chair too.) They're such a cute bunch! You'll have fun with them. I'm glad they're all spoken for and in good homes. You've done a terrific job with them.

Judy at GoldCountryCottage said...

Hi Sandy.Oh, I am so sad for little Phoebe, but she is looking so much better. What darling kittens. My daughter went to get a new kitten and came home with it's sibling. They are fairly grown now, but what fun they had together and they are the best cats. I think it is a good idea to keep them together. Almost forgot your pretty tablecloth. Great find..Happy Tuesday..Judy

Peggy said...

Hi Sandy,
Love the tablecoth - it turned out really beautiful - amazing what bleach will do! Your poor little kitten - glad she is getting better. I agree that Janae must work some magic on her little furry friends because my little dogs surely never look so well posed in pictures....LOL

Bella's Rose Cottage said...

Hi Sandy,
First a big hats off to your daughter , what a great pic, I am horrible at pet pics!!! So glad the little one is better, scary!! Your tablecloth is gorgeous, I am have to get a big bottle of bleach and work on my oatmeal things too, thanks for the tip!
Hurry for Eden, you will be IN LOVE!! The Wichester Cathedral is a David Austin, and lovely ruffled goodness. Have you seen this link to David Austin (you can sort roses by color!)..

Heirloom treasures said...

Oh poor Phoebe,it must have been so painful.
Years ago when we had our cat Sammy,he got a swelling on top of his head like that. I could see it was full of puss. I just made up a poltice of a piece of bread sprinkled with some baking soda and moistened it. I tied it on with a bandage over and under his chin. He was too afraid of it to pull it off and he walked around with his chin nearly on the floor. He was quite happy though and within a few days I changed the poltice and another few days and the swelling had gone.
This is an old remedy for drawing boils. It works too.
Cheaper than the vet,as long as the patient isn't in pain.
Love Janaes growing family too. I don't know how she does it either and keeps her home so beautiful with such a growing family. xxoo

Heirloom treasures said...

PS, got caught up with the kitties I forgot your tablecloth is gorgeous. I so love lace. xxoo

farmhouse-story said...

i love that type of lace, its so delicate looking--great find, sandy:) poor phoebe--she looked miserable. so glad she is feeling better--thanks to you:)

Grandma Carolee said...

It was so good to see Phoebe looking as good as new yesterday. I agree with all of those who see what an amazing photographer Janae' is with all of the animals. That could be a second profession.
The tablecloth gives me such warm memories of my grandmother.

Marigene said...

Beautiful tablecloth...happy to hear your kitty is doing well.

Janet said...

The tablecloth is gorgeous! I just love finding things like that! Glad your kitty is doing better!

Susan EvelynAndRose said...

Beautiful tablecloth!

Theresa said...

I love your tablecloth. I too have some lace tablecloths I found at Goodwill but have been too afraid to bleach them. Did you use just straight bleach and which kind of oxyclean, liquid or powder? Thanks..

Cindy said...

I CAN NOT believe she got all those precious kitties sitting still in that pose all looking up at her, that's AMAZING, and so so cute... omg

And, your tablecloth is wonderful! I'm a sucker for lace, and this looks like the real thing... so pretty


Karen said...

Sandy that is a gorgeous tablecloth. It looks so pretty in your dining room. I hope your kitty is doing better poor little thing. I'm crazy about those pet photos. It's so hard to get good pictures of fur babies.

Nann said...

Beautiful tablecloth Sandy! I just got one with some stains on it too from a thrift store and am going to try your stain 'recipe.' It sure looks like it worked. The photo of the kittens just pulls the heartstrings of my heart. It is adorable. I'm so glad you were able to get Phoebe taken care of. She is just so precious.

Kerryanne @ Shabby Art Boutique said...

The tabelcloth was a great find Sandy and cleaned up perfectly. I'm going to try your cleaning method on a stained cloth I found thrifting.

That poor kitty, she must have felt terrible. So glad she is doing better.

I'd love to have you share this post at Shabbilicious Friday this week ~ http://shabbyartboutique.blogspot.com.au/2012/06/shabbilicious-friday-226.html

Anne said...

Oh my poor thing.I am so glad she is feeling better.

Julie said...

Lovely lace tablecloth, cheap but such a great find. Wishing well for your Phoebe! :)

table linen

Anonymous said...

White table clothes are looking very nice and it improving a beauty of your furniture. This kind of white table cloth is one great option for decorating a furniture with attractive and beautiful look up.

Linen Tablecloth